Music has always been my go-to when I needed that little extra push to get into the mood of whatever scene I was writing.
Needless to say, I listen to pretty much anything. From classic rock to Insane Clown Posse, Hick Hop to Beethoven, Synthwave, and EDM to all forms of metal.
And when I’m working on something fantasy, I go for Nordic folk, like Danheim, Heilung, or Wardruna.
Otherwise, I’m digging into audiobooks and podcasts for entertainment or to learn something new and assimilate new ideas.
And going to a Black Jacket symphony concert charged me up something fierce.
Don’t know who they are? Only an amazing cover band that covers over 45 full-length albums from classic rock and more. This time they were covering Queen’s A Night At The Opera. And we were NOT disappointed.
And while there, listening and vibing with the music, it got me thinking about how music can help to set your mood and your pace, but then also, it got me to thinking about branding. What can an individual bring to the table as their own brand to stand out among the ocean of other authors trying to be seen?
Well, I tossed together a new randomness video yesterday morning just for that.
Other than that, it’s been the normal sort of weekend around here.
Racked the Raspberry mead and cut a little lime juice into it to drop out the remaining sediment, then played a few games with the kids.
Labyrinth is a great little puzzle game where you have to change the maze in order to find the treasures and return to your spot with them. It’s been one of the household favorites since they were tiny. I don’t know that Gilly was even around yet when we first got it.
Then there’s Ticket to Ride. A recent discovery on our part, and such a fun and easy game to play. We all agree that we want the larger American Map version, but the small New York version is great for a quick game of about or under an hour.
And the peppers have been producing like mad. Once I get everything I want ran through the dehydrator I’ll grind them down to pepper spice for myself and any other fire eaters who are brave enough to go for it.
== The piece is interrupted by materials data ==
+++
Diffraction record for ReMoWF. The X-ray powder pattern is calculated, not measured: it uses a GGA+U-relaxed structure and a wavelength of 1.5418 Å.

Structure:
abc: 2.713 2.815 8.563
angles: 92.03 93.35 112.18
Space group P1 (No. 1)
Unique sites:
Re: 0.000 0.000 0.000 (multiplicity 1)
Mo: 0.563 0.557 0.248 (multiplicity 1)
W: 0.207 0.648 0.723 (multiplicity 1)
F: 0.126 0.608 0.468 (multiplicity 1)

Top 12 peaks for 2θ = 10–90°, in order of rising 2θ:
- 2θ 10.37, intensity 100
- 2θ 31.46, intensity 23
- 2θ 35.44, intensity 26
- 2θ 38.22, intensity 34
- 2θ 39.43, intensity 26
- 2θ 40.31, intensity 18
- 2θ 40.59, intensity 26
+++

I also have a new release for everyone to check out. It’s part of the Postcard collection being produced by Raconteur Press. It was a fun little challenge where everyone participating requested a writing prompt image. From that image, we were to tell a tale of no more or no less than 50 words.
That was one hell of a challenge. A full story in 50 words. Begining, middle, and end. It was well worth the attempt just to try it, but somehow they liked my piece well enough and I made the cover. So that was an added bonus.
And of course, what would a post be without showing off a new picture of #Hirotheeditorkitty. He’s a demanding little shit, and doubly so here lately.

So until next time, keep your heads up and your pens sharp.